# Activity
Search the material further down for the word "Lines" and copy each line that has it.
# Given
'''
# 1
Calculated X-ray diffraction stick pattern of AcDyNi4 for Cu Kα (weighted mean of Kα1 and Kα2), from DFT lattice parameters and positions (PBE).
Lines closer than 0.1° are merged.

Cell and atoms:
```
AcDyNi4
1.0
5.1869 0.0000 0.0000
-2.5935 4.4920 0.0000
0.0000 0.0000 8.6918
Ac Dy Ni
2 2 8
Cartesian
0.0000 2.9947 0.7099
2.5935 1.4973 7.9819
0.0000 2.9947 3.9141
2.5935 1.4973 4.7778
0.0000 0.0000 0.0000
0.0000 0.0000 4.3459
0.0000 1.4718 6.3762
-1.3189 3.7561 6.3762
1.2746 0.7359 2.3156
1.3189 3.7561 6.3762
3.9123 0.7359 2.3156
2.5935 3.0202 2.3156
```

Principal peaks in the range 10 to 80 degrees two-theta, sorted by position:
d/Å	2theta	Rel. int.
3.123	28.6	26
2.593	34.6	67
2.435	36.9	100
2.227	40.5	84
2.174	41.5	55
1.465	63.5	43

---

# 2
Calculated X-ray diffraction stick pattern of AcDyPu2O8 for Cu Kα (weighted mean of Kα1 and Kα2), from DFT lattice parameters and positions (PBE).
Lines closer than 0.1° are merged.

Cell and atoms:
```
AcDyPu2O8
1.0
-2.7533 2.7533 5.4075
2.7533 -2.7533 5.4075
2.7533 2.7533 -5.4075
Ac Dy Pu O
1 1 2 8
Cartesian
0.0000 0.0000 0.0000
0.0000 2.7533 2.7037
2.7533 0.0000 2.7037
0.0000 0.0000 5.4075
1.4310 1.5002 -1.3908
1.3222 -1.2531 4.0167
1.5002 1.4310 1.3908
4.0063 1.4310 1.3908
1.4310 4.0063 -1.3908
1.3222 1.2531 4.0167
-1.2531 1.3222 6.7983
1.2531 1.3222 6.7983
```

Principal peaks in the range 10 to 80 degrees two-theta, sorted by position:
d/Å	2theta	Rel. int.
3.160	28.2	100
2.753	32.5	25
1.947	46.7	17
1.929	47.1	33
1.657	55.4	32
1.636	56.2	15

---

# 3
Calculated X-ray diffraction stick pattern of AcDyTc2O8 for Cu Kα (weighted mean of Kα1 and Kα2), from DFT lattice parameters and positions (PBE).
Lines closer than 0.1° are merged.

Cell and atoms:
```
AcDyTc2O8
1.0
5.9083 0.0000 0.0000
-2.9542 5.1168 0.0000
0.0000 0.0000 7.2531
Ac Dy Tc O
1 1 2 8
Cartesian
0.0000 0.0000 0.0000
0.0000 0.0000 3.6265
0.0000 3.4112 5.6925
2.9542 1.7056 1.5606
0.0000 1.6198 5.1972
-1.5514 4.3068 5.1972
1.4028 0.8099 2.0559
0.0000 3.4112 0.2391
2.9542 1.7056 7.0140
1.5514 4.3068 5.1972
4.5055 0.8099 2.0559
2.9542 3.4969 2.0559
```

Principal peaks in the range 10 to 80 degrees two-theta, sorted by position:
d/Å	2theta	Rel. int.
5.117	17.3	42
4.181	21.3	25
2.957	30.2	100
2.091	43.3	27
1.707	53.7	30
1.322	71.3	15

---

# 4
Calculated X-ray diffraction stick pattern of AcDy2UO8 for Cu Kα (weighted mean of Kα1 and Kα2), from DFT lattice parameters and positions (PBE).
Lines closer than 0.1° are merged.

Cell and atoms:
```
AcDy2UO8
1.0
3.9526 0.0000 0.0000
0.0000 5.3864 0.0000
0.0000 0.0000 7.8196
Ac Dy U O
1 2 1 8
Cartesian
0.0000 0.0000 0.0000
1.9763 2.6932 2.1129
1.9763 2.6932 5.7067
0.0000 0.0000 3.9098
0.0000 1.3192 2.2205
0.0000 1.3192 5.5991
0.0000 4.0672 2.2205
0.0000 4.0672 5.5991
1.9763 1.2479 3.9098
1.9763 1.5533 0.0000
1.9763 3.8331 0.0000
1.9763 4.1385 3.9098
```

Principal peaks in the range 10 to 80 degrees two-theta, sorted by position:
d/Å	2theta	Rel. int.
3.187	28.0	100
3.164	28.2	92
2.780	32.2	46
1.934	47.0	62
1.676	54.8	30
1.666	55.1	28

---

# 5
Calculated X-ray diffraction stick pattern of Ac4DyP5 for Cu Kα (weighted mean of Kα1 and Kα2), from DFT lattice parameters and positions (PBE).
Lines closer than 0.1° are merged.

Cell and atoms:
```
Ac4DyP5
1.0
-2.1922 2.1922 15.4205
2.1922 -2.1922 15.4205
2.1922 2.1922 -15.4205
Ac Dy P
4 1 5
Cartesian
0.0000 0.0000 2.9843
0.0000 0.0000 9.2978
0.0000 0.0000 21.5433
0.0000 0.0000 27.8568
0.0000 0.0000 15.4205
0.0000 0.0000 0.0000
0.0000 0.0000 6.1503
0.0000 0.0000 12.5164
0.0000 0.0000 18.3247
0.0000 0.0000 24.6908
```

Principal peaks in the range 10 to 80 degrees two-theta, sorted by position:
d/Å	2theta	Rel. int.
3.574	24.9	100
3.100	28.8	66
3.084	29.0	32
2.186	41.3	49
1.869	48.7	35
1.787	51.1	26

---

# 6
Calculated X-ray diffraction stick pattern of Ac3Dy2PaP6 for Cu Kα (weighted mean of Kα1 and Kα2), from DFT lattice parameters and positions (PBE).
Lines closer than 0.1° are merged.

Cell and atoms:
```
Ac3Dy2PaP6
1.0
'''
# Solution
Lines closer than 0.1° are merged.
Lines closer than 0.1° are merged.
Lines closer than 0.1° are merged.
Lines closer than 0.1° are merged.
Lines closer than 0.1° are merged.
Lines closer than 0.1° are merged.